# Exercise
Could you duplicate only the lines further down with the word "Fractional" in them?

# Given
- - -
# 1
Crystalline InRePt2 at its relaxed geometry, computed with GGA-PBE.

a b c (Å): 4.901 4.901 2.789
angles (deg): 90.00 90.00 90.00
Fractional positions:
In (0.000, 0.500, 0.500)
Pt (0.000, 0.000, 0.000)
Pt (0.500, 0.500, 0.000)
Re (0.500, 0.000, 0.500)

Calculated values
SG: P4/mmm, No. 123
DOS at the Fermi energy, states/eV/f.u.: 1.8
Formation energy, eV per atom: 0.028

# 2
Crystalline Ac3Ge2Rh7 at its relaxed geometry, computed with GGA-PBE.

a b c (Å): 4.232 4.316 14.055
angles (deg): 98.83 90.00 90.00
Fractional positions:
Ac (0.500, 0.500, 0.000)
Ac (0.500, 0.699, 0.397)
Ac (0.500, 0.301, 0.603)
Ge (0.000, 0.914, 0.829)
Ge (0.000, 0.086, 0.171)
Rh (0.000, 0.375, 0.750)
Rh (0.000, 0.794, 0.587)
Rh (0.000, 0.000, 0.000)
Rh (0.000, 0.625, 0.250)
Rh (0.500, 0.127, 0.253)
Rh (0.500, 0.873, 0.747)
Rh (0.000, 0.206, 0.413)

Calculated values
SG: Cmmm, No. 65
DOS at the Fermi energy, states/eV/f.u.: 9.4
Formation energy, eV per atom: -0.460

# 3
Crystalline Ba5SiBr4 at its relaxed geometry, computed with GGA-PBE.

a b c (Å): 6.727 8.301 8.301
angles (deg): 80.55 66.10 66.10
Fractional positions:
Ba (0.904, 0.379, 0.816)
Ba (0.282, 0.816, 0.621)
Ba (0.720, 0.184, 0.379)
Ba (0.098, 0.621, 0.184)
Ba (0.501, 0.000, 0.000)
Si (0.001, 0.000, 0.000)
Br (0.404, 0.403, 0.791)
Br (0.807, 0.791, 0.597)
Br (0.195, 0.209, 0.403)
Br (0.598, 0.597, 0.209)

Calculated values
SG: I4/m, No. 87
DOS at the Fermi energy, states/eV/f.u.: 4.3
Uncorrected energy, eV per cell: -36.0

# 4
Crystalline ReHgMo4 at its relaxed geometry, computed with GGA-PBE.

a b c (Å): 5.221 5.221 5.221
angles (deg): 60.00 60.00 60.00
Fractional positions:
Re (0.750, 0.750, 0.750)
Hg (0.000, 0.000, 0.000)
Mo (0.878, 0.374, 0.374)
Mo (0.374, 0.374, 0.878)
Mo (0.374, 0.878, 0.374)
Mo (0.374, 0.374, 0.374)

Calculated values
SG: F-43m, No. 216
DOS at the Fermi energy, states/eV/f.u.: 5.7
Formation energy, eV per atom: 0.495

# 5
Crystalline MgScIn2 at its relaxed geometry, computed with GGA-PBE.

a b c (Å): 3.230 3.230 10.024
angles (deg): 90.00 90.00 110.85
Fractional positions:
In (0.000, 0.000, 0.994)
In (0.500, 0.500, 0.251)
Mg (0.000, 0.000, 0.504)
Sc (0.500, 0.500, 0.752)

Calculated values
SG: Cmm2, No. 35
DOS at the Fermi energy, states/eV/f.u.: 3.2
Formation energy, eV per atom: -0.043

# 6
Crystalline Nd2Pu5Os3 at its relaxed geometry, computed with GGA-PBE.

a b c (Å): 4.927 6.924 13.652
angles (deg): 90.00 100.40 90.00
Fractional positions:
Nd (0.482, 0.729, 0.965)
Nd (0.174, 0.732, 0.347)
Nd (0.826, 0.232, 0.653)
Nd (0.518, 0.229, 0.035)
Pu (0.390, 0.400, 0.781)
Pu (0.302, 0.529, 0.605)
Pu (0.698, 0.029, 0.395)
Pu (0.125, 0.233, 0.249)
Pu (0.295, 0.970, 0.590)
Pu (0.948, 0.066, 0.896)
Pu (0.705, 0.470, 0.410)
Pu (0.875, 0.733, 0.751)
Pu (0.052, 0.566, 0.104)
Pu (0.610, 0.900, 0.219)
Os (0.776, 0.754, 0.551)
Os (0.604, 0.490, 0.208)
Os (0.053, 0.962, 0.107)
Os (0.224, 0.254, 0.449)
Os (0.947, 0.462, 0.893)
Os (0.396, 0.990, 0.792)

Calculated values
SG: Cmc2_1, No. 36
DOS at the Fermi energy, states/eV/f.u.: 26.9
Formation energy, eV per atom: -0.006

# 7
Crystalline TaHg2O4 at its relaxed geometry, computed with GGA-PBE.

a b c (Å): 3.983 3.983 7.032
angles (deg): 73.55 73.55 90.00
Fractional positions:
Hg (0.335, 0.335, 0.329)
Hg (0.665, 0.665, 0.671)
O (0.156, 0.156, 0.689)
O (0.844, 0.844, 0.311)
O (0.000, 0.500, 0.000)
O (0.500, 0.000, 0.000)
Ta (0.000, 0.000, 0.000)

Calculated values
SG: I4/mmm, No. 139
DOS at the Fermi energy, states/eV/f.u.: 2.4
Uncorrected energy, eV per cell: -41.4

# 8
Crystalline MgIn2S at its relaxed geometry, computed with GGA-PBE.

a b c (Å): 7.954 7.954 6.421
angles (deg): 51.73 51.73 90.00
Fractional positions:
S (0.000, 0.000, 0.000)
S (0.750, 0.250, 0.500)
Mg (0.500, 0.500, 0.000)
Mg (0.250, 0.750, 0.500)
In (0.649, 0.125, 0.250)
In (0.101, 0.625, 0.250)
In (0.375, 0.351, 0.750)
In (0.875, 0.899, 0.750)

Calculated values
SG: I-42d, No. 122
DOS at the Fermi energy, states/eV/f.u.: 1.8
- - -

# Done
Fractional positions:
Fractional positions:
Fractional positions:
Fractional positions:
Fractional positions:
Fractional positions:
Fractional positions:
Fractional positions: